Entries.
~~~
[1]
A plane-wave DFT calculation with GGA-PBE was carried out for a relaxed structure of OsW2.

Geometry as extended XYZ:
```
30
Lattice="9.7125 0.0000 0.0000 0.0000 9.7125 0.0000 0.0000 0.0000 5.0047" Properties=species:S:1:pos:R:3 pbc="T T T"
Os 4.8563 4.8563 2.5023
Os 0.0000 0.0000 0.0000
Os 4.1898 2.2930 2.5023
Os 5.5227 7.4195 2.5023
Os 0.6664 7.1493 0.0000
Os 9.0461 2.5632 0.0000
Os 2.2930 4.1898 2.5023
Os 7.4195 5.5227 2.5023
Os 7.1493 0.6664 0.0000
Os 2.5632 9.0461 0.0000
W 1.0065 8.7060 2.5023
W 8.7060 1.0065 2.5023
W 3.8498 3.8498 0.0000
W 5.8627 5.8627 0.0000
W 3.5841 9.3501 2.5023
W 6.1284 0.3624 2.5023
W 1.2722 4.4939 0.0000
W 8.4403 5.2186 0.0000
W 9.3501 3.5841 2.5023
W 0.3624 6.1284 2.5023
W 4.4939 1.2722 0.0000
W 5.2186 8.4403 0.0000
W 3.1017 6.6108 1.2502
W 6.6108 3.1017 1.2502
W 1.7546 1.7546 3.7525
W 7.9579 7.9579 3.7525
W 6.6108 3.1017 3.7545
W 3.1017 6.6108 3.7545
W 7.9579 7.9579 1.2522
W 1.7546 1.7546 1.2522
```

[2]
A plane-wave DFT calculation with GGA-PBE was carried out for a relaxed structure of YOs2.

Geometry as extended XYZ:
```
12
Lattice="2.6673 -4.6199 0.0000 2.6673 4.6199 0.0000 0.0000 0.0000 8.8436" Properties=species:S:1:pos:R:3 pbc="T T T"
Y 2.6673 1.5400 3.8508
Y 2.6673 -1.5400 4.9928
Y 2.6673 -1.5400 8.2725
Y 2.6673 1.5400 0.5710
Os 0.0000 0.0000 4.4218
Os 0.0000 0.0000 0.0000
Os 2.6673 -3.0265 2.2109
Os 3.9546 -0.7967 2.2109
Os 1.3799 -0.7967 2.2109
Os 2.6673 3.0265 6.6327
Os 1.3799 0.7967 6.6327
Os 3.9546 0.7967 6.6327
```

[3]
A plane-wave DFT calculation with GGA-PBE was carried out for a relaxed structure of Zn3Os.

Geometry as extended XYZ:
```
4
Lattice="-3.8396 1.4466 2.6909 -3.3004 2.7887 -2.3250 2.2622 -4.2607 -0.8969" Properties=species:S:1:pos:R:3 pbc="T T T"
Zn -2.5737 -0.3482 0.9884
Zn -2.3041 0.3228 -1.5195
Zn -3.5700 2.1177 0.1829
Os 0.0000 0.0000 0.0000
```

[4]
A plane-wave DFT calculation with GGA-PBE was carried out for a relaxed structure of Zr54Os17.

Geometry as extended XYZ:
```
71
Lattice="-7.0427 7.1366 7.3942 7.0427 -7.1366 7.3942 7.0427 7.1366 -7.3942" Properties=species:S:1:pos:R:3 pbc="T T T"
Zr 4.3442 1.6093 2.6519
Zr 2.6985 5.5273 4.7423
Zr 9.7412 -1.6093 2.6519
Zr 2.6985 8.7459 4.7423
Zr -2.6985 8.7459 4.7423
Zr 4.3442 -1.6093 2.6519
Zr -2.6985 5.5273 4.7423
Zr 9.7412 1.6093 2.6519
Zr 2.5367 1.5415 0.0000
Zr 4.5060 5.5952 7.3942
Zr 11.5487 1.5415 0.0000
Zr -4.5060 5.5952 7.3942
Zr 1.5470 0.0000 2.5135
Zr 5.4957 7.1366 4.8807
Zr 5.4957 7.1366 -4.8807
Zr 1.5470 0.0000 12.2749
Zr 0.0000 2.6659 1.5016
Zr 7.0427 4.4707 5.8926
Zr 0.0000 11.6073 1.5016
Zr 7.0427 -4.4707 5.8926
Zr 0.0000 0.0000 5.2607
Zr 0.0000 0.0000 9.5277
Zr 5.6299 0.0000 4.9530
Zr 1.4128 7.1366 2.4412
Zr 8.4556 0.0000 4.9530
Zr -1.4128 7.1366 2.4412
Zr 0.0000 5.5835 0.0000
Zr 0.0000 8.6898 0.0000
Zr 5.4989 0.0000 0.0000
Zr 8.5865 0.0000 0.0000
Zr 2.6947 4.5101 1.5921
Zr 4.3480 2.6265 5.8020
Zr 4.3480 2.6265 8.9863
Zr 4.3480 -2.6265 5.8020
Zr 2.6947 4.5101 -1.5921
Zr 2.6947 9.7632 1.5921
Zr 2.6947 9.7632 -1.5921
Zr 4.3480 -2.6265 8.9863
Zr 1.6578 2.6014 4.2287
Zr 5.3849 4.5353 3.1655
Zr 5.3849 4.5353 -3.1655
Zr -1.6578 2.6014 10.5596
Zr 1.6578 2.6014 10.5596
Zr 8.7005 4.5353 -3.1655
Zr 8.7005 4.5353 3.1655
Zr -1.6578 2.6014 4.2287
Zr 0.0000 4.5645 5.9967
Zr 7.0427 2.5721 1.3975
Zr 7.0427 2.5721 -1.3975
Zr 0.0000 4.5645 8.7917
Zr 5.2668 5.5862 0.0000
Zr 1.7759 1.5505 7.3942
Zr 1.7759 -1.5505 7.3942
Zr 5.2668 8.6871 0.0000
Os 0.0000 4.7478 3.2121
Os 7.0427 2.3888 4.1821
Os 0.0000 9.5255 3.2121
Os 7.0427 -2.3888 4.1821
Os 7.0427 0.0000 2.4400
Os 0.0000 7.1366 4.9541
Os 4.6078 3.0431 0.0000
Os 2.4349 4.0935 7.3942
Os 9.4776 3.0431 0.0000
Os -2.4349 4.0935 7.3942
Os 2.8441 0.0000 4.9871
Os 4.1986 7.1366 2.4071
Os 4.1986 7.1366 -2.4071
Os 2.8441 0.0000 9.8012
Os 0.0000 0.0000 0.0000
Os 2.7100 7.1366 0.0000
Os 4.3327 0.0000 7.3942
```

[5]
A plane-wave DFT calculation with GGA-PBE was carried out for a relaxed structure of ZrOs2.

Geometry as extended XYZ:
```
12
~~~

Wanted.
Echo all of the data further up unchanged, please.

Result.
[1]
A plane-wave DFT calculation with GGA-PBE was carried out for a relaxed structure of OsW2.

Geometry as extended XYZ:
```
30
Lattice="9.7125 0.0000 0.0000 0.0000 9.7125 0.0000 0.0000 0.0000 5.0047" Properties=species:S:1:pos:R:3 pbc="T T T"
Os 4.8563 4.8563 2.5023
Os 0.0000 0.0000 0.0000
Os 4.1898 2.2930 2.5023
Os 5.5227 7.4195 2.5023
Os 0.6664 7.1493 0.0000
Os 9.0461 2.5632 0.0000
Os 2.2930 4.1898 2.5023
Os 7.4195 5.5227 2.5023
Os 7.1493 0.6664 0.0000
Os 2.5632 9.0461 0.0000
W 1.0065 8.7060 2.5023
W 8.7060 1.0065 2.5023
W 3.8498 3.8498 0.0000
W 5.8627 5.8627 0.0000
W 3.5841 9.3501 2.5023
W 6.1284 0.3624 2.5023
W 1.2722 4.4939 0.0000
W 8.4403 5.2186 0.0000
W 9.3501 3.5841 2.5023
W 0.3624 6.1284 2.5023
W 4.4939 1.2722 0.0000
W 5.2186 8.4403 0.0000
W 3.1017 6.6108 1.2502
W 6.6108 3.1017 1.2502
W 1.7546 1.7546 3.7525
W 7.9579 7.9579 3.7525
W 6.6108 3.1017 3.7545
W 3.1017 6.6108 3.7545
W 7.9579 7.9579 1.2522
W 1.7546 1.7546 1.2522
```

[2]
A plane-wave DFT calculation with GGA-PBE was carried out for a relaxed structure of YOs2.

Geometry as extended XYZ:
```
12
Lattice="2.6673 -4.6199 0.0000 2.6673 4.6199 0.0000 0.0000 0.0000 8.8436" Properties=species:S:1:pos:R:3 pbc="T T T"
Y 2.6673 1.5400 3.8508
Y 2.6673 -1.5400 4.9928
Y 2.6673 -1.5400 8.2725
Y 2.6673 1.5400 0.5710
Os 0.0000 0.0000 4.4218
Os 0.0000 0.0000 0.0000
Os 2.6673 -3.0265 2.2109
Os 3.9546 -0.7967 2.2109
Os 1.3799 -0.7967 2.2109
Os 2.6673 3.0265 6.6327
Os 1.3799 0.7967 6.6327
Os 3.9546 0.7967 6.6327
```

[3]
A plane-wave DFT calculation with GGA-PBE was carried out for a relaxed structure of Zn3Os.

Geometry as extended XYZ:
```
4
Lattice="-3.8396 1.4466 2.6909 -3.3004 2.7887 -2.3250 2.2622 -4.2607 -0.8969" Properties=species:S:1:pos:R:3 pbc="T T T"
Zn -2.5737 -0.3482 0.9884
Zn -2.3041 0.3228 -1.5195
Zn -3.5700 2.1177 0.1829
Os 0.0000 0.0000 0.0000
```

[4]
A plane-wave DFT calculation with GGA-PBE was carried out for a relaxed structure of Zr54Os17.

Geometry as extended XYZ:
```
71
Lattice="-7.0427 7.1366 7.3942 7.0427 -7.1366 7.3942 7.0427 7.1366 -7.3942" Properties=species:S:1:pos:R:3 pbc="T T T"
Zr 4.3442 1.6093 2.6519
Zr 2.6985 5.5273 4.7423
Zr 9.7412 -1.6093 2.6519
Zr 2.6985 8.7459 4.7423
Zr -2.6985 8.7459 4.7423
Zr 4.3442 -1.6093 2.6519
Zr -2.6985 5.5273 4.7423
Zr 9.7412 1.6093 2.6519
Zr 2.5367 1.5415 0.0000
Zr 4.5060 5.5952 7.3942
Zr 11.5487 1.5415 0.0000
Zr -4.5060 5.5952 7.3942
Zr 1.5470 0.0000 2.5135
Zr 5.4957 7.1366 4.8807
Zr 5.4957 7.1366 -4.8807
Zr 1.5470 0.0000 12.2749
Zr 0.0000 2.6659 1.5016
Zr 7.0427 4.4707 5.8926
Zr 0.0000 11.6073 1.5016
Zr 7.0427 -4.4707 5.8926
Zr 0.0000 0.0000 5.2607
Zr 0.0000 0.0000 9.5277
Zr 5.6299 0.0000 4.9530
Zr 1.4128 7.1366 2.4412
Zr 8.4556 0.0000 4.9530
Zr -1.4128 7.1366 2.4412
Zr 0.0000 5.5835 0.0000
Zr 0.0000 8.6898 0.0000
Zr 5.4989 0.0000 0.0000
Zr 8.5865 0.0000 0.0000
Zr 2.6947 4.5101 1.5921
Zr 4.3480 2.6265 5.8020
Zr 4.3480 2.6265 8.9863
Zr 4.3480 -2.6265 5.8020
Zr 2.6947 4.5101 -1.5921
Zr 2.6947 9.7632 1.5921
Zr 2.6947 9.7632 -1.5921
Zr 4.3480 -2.6265 8.9863
Zr 1.6578 2.6014 4.2287
Zr 5.3849 4.5353 3.1655
Zr 5.3849 4.5353 -3.1655
Zr -1.6578 2.6014 10.5596
Zr 1.6578 2.6014 10.5596
Zr 8.7005 4.5353 -3.1655
Zr 8.7005 4.5353 3.1655
Zr -1.6578 2.6014 4.2287
Zr 0.0000 4.5645 5.9967
Zr 7.0427 2.5721 1.3975
Zr 7.0427 2.5721 -1.3975
Zr 0.0000 4.5645 8.7917
Zr 5.2668 5.5862 0.0000
Zr 1.7759 1.5505 7.3942
Zr 1.7759 -1.5505 7.3942
Zr 5.2668 8.6871 0.0000
Os 0.0000 4.7478 3.2121
Os 7.0427 2.3888 4.1821
Os 0.0000 9.5255 3.2121
Os 7.0427 -2.3888 4.1821
Os 7.0427 0.0000 2.4400
Os 0.0000 7.1366 4.9541
Os 4.6078 3.0431 0.0000
Os 2.4349 4.0935 7.3942
Os 9.4776 3.0431 0.0000
Os -2.4349 4.0935 7.3942
Os 2.8441 0.0000 4.9871
Os 4.1986 7.1366 2.4071
Os 4.1986 7.1366 -2.4071
Os 2.8441 0.0000 9.8012
Os 0.0000 0.0000 0.0000
Os 2.7100 7.1366 0.0000
Os 4.3327 0.0000 7.3942
```

[5]
A plane-wave DFT calculation with GGA-PBE was carried out for a relaxed structure of ZrOs2.

Geometry as extended XYZ:
```
12